The Difference Between Source and Site Energy
After you’ve benchmarked your building, you’ll see several performance metrics, including source and site EUI (or energy use intensity). What’s the difference? And which is used for the 1 – 100 ENERGY STAR score?
EPA Recommends Using Source Energy
EPA has determined that source energy is the most equitable unit of evaluation for comparing different buildings to each other. Source energy represents the total amount of raw fuel that is required to operate the building. It incorporates all transmission, delivery, and production losses. By taking all energy use into account, the score provides a complete assessment of energy efficiency in a building.
Source Energy Accounts for Total Energy Use
# These calculated crystals were left in the article by mistake
+++
VASP calculation (GGA-PBE) on an optimized crystal structure of Na5Y2Ti2SiP5O24.

a = 9.087 Å, b = 9.090 Å, c = 22.835 Å
α = 90.00°, β = 89.93°, γ = 120.41°
Positions (direct):
Na  0.001  0.644  0.250
Na  0.628  0.631  0.748
Na  0.370  0.000  0.752
Na  0.669  0.969  0.585
Na  0.303  0.972  0.083
Na  0.674  0.698  0.080
Na  0.030  0.333  0.083
Na  0.965  0.301  0.418
Na  0.342  0.039  0.420
Na  0.005  0.989  0.505
Na  0.001  0.992  0.992
Na  0.681  0.338  0.835
Na  0.651  0.332  0.329
Na  0.346  0.668  0.168
Na  0.314  0.647  0.663
Y  0.994  0.995  0.350
Y  0.001  0.003  0.153
Y  0.666  0.337  0.978
Y  0.663  0.343  0.490
Y  0.345  0.668  0.314
Y  0.326  0.660  0.811
Ti  0.989  0.001  0.852
Ti  0.005  0.001  0.649
Ti  0.671  0.322  0.682
Ti  0.670  0.333  0.181
Ti  0.323  0.666  0.012
Ti  0.333  0.669  0.522
Si  0.723  0.014  0.747
Si  0.361  0.029  0.584
Si  0.969  0.628  0.083
P  0.316  0.012  0.249
P  0.696  0.680  0.244
P  0.986  0.305  0.248
P  0.287  0.275  0.748
P  0.987  0.715  0.749
P  0.968  0.333  0.585
P  0.666  0.635  0.589
P  0.658  0.036  0.083
P  0.380  0.343  0.084
P  0.631  0.681  0.914
P  0.044  0.362  0.916
P  0.316  0.953  0.913
P  0.626  0.959  0.423
P  0.332  0.376  0.422
P  0.049  0.668  0.420
O  0.232  0.034  0.305
O  0.814  0.769  0.298
O  0.967  0.200  0.304
O  0.199  0.166  0.804
O  0.965  0.803  0.804
O  0.841  0.032  0.806
O  0.821  0.991  0.692
O  0.176  0.183  0.695
O  0.010  0.829  0.695
O  0.777  0.784  0.188
O  0.012  0.226  0.193
O  0.201  0.982  0.195
O  0.863  0.358  0.636
O  0.506  0.139  0.638
O  0.642  0.515  0.642
O  0.871  0.500  0.141
O  0.634  0.130  0.137
O  0.499  0.364  0.137
O  0.446  0.298  0.030
O  0.842  0.545  0.030
O  0.693  0.146  0.030
O  0.428  0.132  0.524
O  0.707  0.571  0.533
O  0.860  0.290  0.529
O  0.531  0.695  0.970
O  0.159  0.463  0.972
O  0.303  0.832  0.969
O  0.527  0.849  0.478
O  0.324  0.482  0.475
O  0.168  0.679  0.472
O  0.123  0.650  0.362
O  0.522  0.880  0.368
O  0.345  0.469  0.365
O  0.126  0.469  0.862
O  0.340  0.875  0.858
O  0.533  0.661  0.858
O  0.045  0.836  0.420
O  0.804  0.977  0.421
O  0.162  0.200  0.422
O  0.040  0.189  0.912
O  0.149  0.958  0.912
O  0.809  0.849  0.911
O  0.984  0.174  0.597
O  0.174  0.003  0.599
O  0.819  0.820  0.598
O  0.008  0.823  0.089
O  0.812  0.010  0.091
O  0.195  0.195  0.092
O  0.702  0.186  0.739
O  0.466  0.290  0.743
O  0.824  0.538  0.742
O  0.688  0.506  0.239
O  0.821  0.317  0.242
O  0.492  0.173  0.239
O  0.656  0.528  0.920
O  0.865  0.333  0.922
O  0.472  0.129  0.921
O  0.648  0.139  0.427
O  0.483  0.345  0.424
O  0.874  0.506  0.426
O  0.375  0.512  0.078
O  0.156  0.635  0.073
O  0.491  0.858  0.078
O  0.357  0.843  0.579
O  0.504  0.653  0.582
O  0.144  0.496  0.580
O  0.328  0.849  0.252
O  0.518  0.656  0.249
O  0.137  0.490  0.251
O  0.315  0.457  0.749
O  0.152  0.705  0.750
O  0.533  0.846  0.749

Computed properties:
+++
You’re probably already familiar with site energy, which is the amount of heat and electricity consumed by a building as reflected in your utility bills. Looking at site energy can help you understand how the energy use for an individual building has changed over time.

Site energy may be delivered to a building in one of two forms: primary or secondary energy. Primary energy is the raw fuel that is burned to create heat and electricity, such as natural gas or fuel oil used in onsite generation. Secondary energy is the energy product (heat or electricity) created from a raw fuel, such as electricity purchased from the grid or heat received from a district steam system. A unit of primary and a unit of secondary energy consumed at the site are not directly comparable because one represents a raw fuel while the other represents a converted fuel.
Therefore, to assess the relative efficiencies of buildings with varying proportions of primary and secondary energy consumption, it is necessary to convert these two types of energy into equivalent units of raw fuel consumed to generate that one unit of energy consumed on-site. To achieve this equivalency, EPA uses source energy.
When any form of primary or secondary energy is consumed on site, source energy calculations account for the losses that are incurred in the production, transmission, and delivery of that energy to the building. The factors used to restate primary and secondary energy in terms of the total equivalent source energy units are called the source-site ratios.

EPA Uses National Conversion Factors to Calculate Source Energy
The efficiency of secondary energy (e.g., electricity, steam) production depends on the types of primary fuels that are being consumed and the specific equipment that is used. These characteristics are unique to specific power plants and differ across regions of the country. For example, some states have a higher percentage of hydroelectric power, while others consume greater quantities of coal.
• Misplaced crystal structures:
'''
(1)
{"formula": "HoCoGe2", "functional": "r2SCAN", "state": "optimized geometry", "total_energy_ev_per_atom": -19.082, "crystal_system": "orthorhombic", "lattice_angstrom": [[2.0496, -8.2398, 0.0000], [2.0496, 8.2398, 0.0000], [0.0000, 0.0000, 4.0909]], "species": ["Ge", "Co", "Ge", "Ge", "Ho", "Co", "Ho", "Ge"], "frac_coords": [[0.5449, 0.4551, 0.2500], [0.3197, 0.6803, 0.7500], [0.7493, 0.2507, 0.7500], [0.4551, 0.5449, 0.7500], [0.1103, 0.8897, 0.7500], [0.6803, 0.3197, 0.2500], [0.8897, 0.1103, 0.2500], [0.2507, 0.7493, 0.2500]]}

(2)
{"formula": "CeSi2Pt2", "functional": "r2SCAN", "state": "optimized geometry", "total_energy_ev_per_atom": -31.459, "crystal_system": "tetragonal", "lattice_angstrom": [[-2.0610, 3.4767, 1.3957], [-2.7529, -0.3250, -3.2556], [-5.8040, -5.6369, 5.4707]], "species": ["Si", "Ce", "Si", "Si", "Pt", "Ce", "Pt", "Pt", "Si", "Pt"], "frac_coords": [[0.2500, 0.2500, 0.1300], [0.2500, 0.2500, 0.7444], [0.2500, 0.7500, 0.5000], [0.7500, 0.2500, 0.5000], [0.2500, 0.2500, 0.3790], [0.7500, 0.7500, 0.2556], [0.2500, 0.7500, 0.0000], [0.7500, 0.7500, 0.6210], [0.7500, 0.7500, 0.8700], [0.7500, 0.2500, 0.0000]]}

(3)
{"formula": "Y2O3", "functional": "r2SCAN", "state": "optimized geometry", "total_energy_ev_per_atom": -15.612, "crystal_system": "cubic", "lattice_angstrom": [[8.6613, 0.0000, -3.0622], [-4.3306, 7.5009, -3.0622], [0.0000, 0.0000, 9.1866]], "species": ["Y", "O", "Y", "O", "O", "O", "O", "O", "O", "O", "O", "O", "O", "O", "O", "Y", "Y", "O", "Y", "O", "O", "Y", "Y", "Y", "O", "O", "Y", "Y", "O", "Y", "Y", "Y", "O", "Y", "O", "Y", "O", "O", "O", "Y"], "frac_coords": [[0.0000, 0.0000, 0.5000], [0.7391, 0.2282, 0.2707], [0.5325, 0.7500, 0.2825], [0.2707, 0.7391, 0.2282], [0.2391, 0.9683, 0.5108], [0.5108, 0.2391, 0.9683], [0.0317, 0.4892, 0.7609], [0.5425, 0.5317, 0.7707], [0.0425, 0.2718, 0.0108], [0.2718, 0.0108, 0.0425], [0.2293, 0.4575, 0.4683], [0.7293, 0.2609, 0.7718], [0.5317, 0.7707, 0.5425], [0.2282, 0.2707, 0.7391], [0.7609, 0.0317, 0.4892], [0.2500, 0.2175, 0.9675], [0.5000, 0.0000, 0.0000], [0.0108, 0.0425, 0.2718], [0.5000, 0.5000, 0.5000], [0.7282, 0.9892, 0.9575], [0.4683, 0.2293, 0.4575], [0.7825, 0.0325, 0.7500], [0.4675, 0.2500, 0.7175], [0.0325, 0.7500, 0.7825], [0.7707, 0.5425, 0.5317], [0.2609, 0.7718, 0.7293], [0.2825, 0.5325, 0.7500], [0.2500, 0.7175, 0.4675], [0.9683, 0.5108, 0.2391], [0.7175, 0.4675, 0.2500], [0.2175, 0.9675, 0.2500], [0.0000, 0.5000, 0.0000], [0.9892, 0.9575, 0.7282], [0.9675, 0.2500, 0.2175], [0.7718, 0.7293, 0.2609], [0.7500, 0.2825, 0.5325], [0.4892, 0.7609, 0.0317], [0.4575, 0.4683, 0.2293], [0.9575, 0.7282, 0.9892], [0.7500, 0.7825, 0.0325]]}

(4)
'''
Because ENERGY STAR is a national program for protecting the environment through energy efficiency, EPA has determined that it is most equitable to employ source-site ratios at the national level. As such, there is only one source-site ratio for each of the primary and secondary fuels in Portfolio Manager, including electricity. The use of national source-site ratios ensures that no specific building will be credited (or penalized) for the relative efficiency of its utility provider.
Technical Methodology in Portfolio Manager
For more detailed information on source energy, read the methodology for computing source energy in Portfolio Manager Technical Reference: Source Energy. This complete technical document provides detail on the distinction between site and source energy and the value of performing source energy comparisons. In addition, the document provides details on the policies for incorporating renewable energy, the philosophy behind the use of national factors, and the specific calculations used to derive each conversion factor.